Insider’s View: A Production Manager’s Journey with Cetec ERP

Before joining the Cetec ERP team, I worked as an operations manager. As our small electronics manufacturing company grew, our pain points multiplied. We knew we needed an ERP to help us manage our production floor, and eventually chose Cetec ERP as our provider. Our goal was better organization and a clearer visual of our daily operations.

Before using Cetec ERP, we had a binder of work instructions. Due to ISO compliance regulations, the binder had to be reprinted every time we ran a job. We kept all the files on our company drive. As a result, we were often trying to figure out which drawings or instructions to print. If we chose the wrong ones, we found ourselves working off of outdated instructions. In the worst cases, we built parts to an outdated revision that then had to be scrapped or reworked, costing us not only components but labor time.


After we implemented Cetec ERP, I didn’t have to sift through files trying to find all the correct documents for various pieces. Instead, I was able to save instructions and drawings to specific part revisions. When I released an order, production workers no longer had to wonder if they were building off of the correct instructions. All attached documents are stored in one spot, and when the order is released to production, the relevant document is the only drawing they can see.

a:
This record from the OMol25 dataset describes a 2-piece molecular cluster, C3H4ClNS overall. The level of theory is ωB97M-V with the def2-TZVPD basis set.

```
10
Properties=species:S:1:pos:R:3:mulliken_charge:R:1
S -0.14 -1.79 -0.13 -0.118
C -1.73 -1.99 -0.05 -0.377
H -0.12 2.41 -0.81 0.290
N 1.21 1.23 0.03 -0.087
H -2.38 -2.45 -0.85 0.253
H -0.38 1.97 0.99 0.251
Cl 3.59 0.01 0.11 -0.153
C 1.84 0.19 -0.22 0.055
C 0.19 1.93 0.05 -0.362
H -2.07 -1.52 0.88 0.248
```

Output
charge	0
HOMO-LUMO gap	8.2	eV

***

b:
This record from the OMol25 dataset describes one molecule with the formula C3H4ClNS. The level of theory is ωB97M-V with the def2-TZVPD basis set.

```
10
Properties=species:S:1:pos:R:3:mulliken_charge:R:1
H -1.64 -1.36 -0.60 0.283
H 1.13 -1.52 -0.46 0.304
S -2.15 0.91 -0.43 -0.077
H 1.81 0.21 -0.30 0.265
C -0.49 1.35 -0.21 -0.253
Cl 1.64 -0.67 1.95 -0.161
H 0.00 2.24 -0.04 0.418
C 1.24 -0.60 0.20 -0.315
N -1.43 -0.59 -0.01 -0.353
C -0.10 0.03 -0.12 -0.110
```

Output
charge	0
HOMO-LUMO gap	9.1	eV

***

Tell me which of them is the least stable. Sure, it is a.

***

a:
This record from the OMol25 dataset describes C5H6 as an isolated structure. The level of theory is ωB97M-V with the def2-TZVPD basis set.

```
11
Properties=species:S:1:pos:R:3:mulliken_charge:R:1
C 0.66 -0.60 -0.66 -0.013
C -0.68 -0.16 0.08 -0.261
C 1.11 -0.96 0.67 -0.533
H 0.95 -1.28 -1.54 0.320
H -0.04 1.78 -0.72 0.286
C -0.15 0.70 -0.91 -0.618
C 0.18 0.02 1.31 -0.408
H -0.56 0.44 -1.87 0.251
H -1.71 -0.46 0.09 0.421
H -0.31 -0.48 2.15 0.252
H 0.55 1.00 1.41 0.303
```

Output
charge	0
HOMO-LUMO gap	9.1	eV

***

b:
This record from the OMol25 dataset describes one molecule with the formula C5H6. The level of theory is ωB97M-V with the def2-TZVPD basis set.

```
11
Properties=species:S:1:pos:R:3:mulliken_charge:R:1
C 0.90 -0.84 0.02 -0.286
C -0.20 1.18 -0.02 -0.321
H 1.91 1.21 -0.24 0.296
H 1.34 -1.35 0.91 0.235
C -0.61 -1.03 -0.07 -0.420
H -2.28 0.38 0.06 0.392
H -1.16 -2.00 -0.01 0.317
C 0.99 0.67 0.06 -0.479
H 1.40 -1.30 -0.82 0.255
C -1.22 0.16 0.03 -0.433
H -0.35 2.21 -0.01 0.445
```

Output
SMILES	C1=CCC=C1
charge	0
HOMO-LUMO gap	9.9	eV

***

Tell me which of them is the least stable. Sure, it is a.

***

a:
This record from the OMol25 dataset describes one molecule with the formula C5H6. The level of theory is ωB97M-V with the def2-TZVPD basis set.

```
11
Properties=species:S:1:pos:R:3:mulliken_charge:R:1
C 2.12 -0.06 -0.03 -0.868
C 0.74 -0.06 -0.12 0.095
C -0.24 -1.15 -0.07 -0.432
H 2.55 0.89 -0.01 0.280
C -1.72 1.15 0.17 -0.592
H -0.71 -1.67 -0.95 0.249
H -0.34 -1.45 0.93 0.258
H -2.81 0.72 0.13 0.198
C -0.72 0.24 0.17 0.225
H -1.56 2.26 0.05 0.258
H 2.70 -0.86 -0.28 0.329
```

Output
SMILES	C=C1CC1=C
charge	0
HOMO-LUMO gap	9.8	eV

***

b:
This record from the OMol25 dataset describes one molecule with the formula C5H6. The level of theory is ωB97M-V with the def2-TZVPD basis set.

```
11
Properties=species:S:1:pos:R:3:mulliken_charge:R:1
-- So much for the records of molecules --

To learn more about how Cetec ERP manages your documents effectively and keeps operators running on the right work instructions, you can check out our detailed guide.

Before Cetec ERP, preventing bottlenecks was tedious and time-consuming. I had to observe operators on the floor with a stopwatch, and take cycle times every few weeks. I only had a very rough estimate of when one job would be done and we could change over to the next. It wasn’t easy to catch small issues that were building up and creating longer process times.


With Cetec ERP, I was able to put our estimated labor plans into the BOM itself and run a report to show me the estimated operations times versus the actual time workers logged. This allowed me to clearly see where bottlenecks were forming without spending hours on the floor. With such specific information, we were able to quickly swarm issues and resolve them via training, updated build processes, and overall process improvements.

Cetec ERP’s Actual versus Estimated Time report not only helps identify bottlenecks and improves your line studies, but opens the door for process improvements. Learn more about the Actual vs Estimate report here.

With Cetec ERP’s Scheduling, I had a clear understanding of when jobs would be wrapping up, and when I needed the next job kitted and available for the floor. I also loved the ability to see what jobs were in which location. It came in very handy to see when boards were done running through SMT and ready for the next step, or jobs that were finished being kitted and queued for the floor.

Finite scheduling allows you to set your floor capacity and schedule jobs more efficiently. For a detailed guide on how Production Scheduling is handled in Cetec ERP, check out our detailed guide here.

Implementing Cetec ERP really did bring us up to that next level in the manufacturing world. It provided much-needed organization and a clear oversight of the entire process. This very clearly highlighted root causes to issues we had been struggling with for years, and enabled us to correct and better our processes. Our now streamlined operations meant production cycles became more predictable, allowing us to meet customer demands with greater agility and accuracy. The real-time data analytics offered by Cetec ERP empowered us to make informed decisions swiftly, driving continuous improvement throughout our organization. Cetec ERP not only addressed our immediate challenges but also positioned us for sustainable growth in the dynamic manufacturing landscape.